
Chapter 132

"After countless battles and deaths, I have finally managed to understand one constant about Yharnam. It is as Gascoigne said before: Beasts all over the shop! I was so absorbed by not letting the beast devour me. I should"ve known better. A hunter becomes strong because he has the Old Blood in his veins. Old Blood heals, but Old Blood also devours."

"I have long shut down those echoes from my mind. But what I didn"t realize was that they held the key answer for me. If a hunter craves blood, then a hunter must hunt. If a hunter doesn"t satiate his thirst, the beast will do it for him. The more intense their hunger becomes, the bigger the beast they have to defeat."

"Losing Blood Echoes without putting them to good use will only weaken a hunter. If a hunter doesn"t fortify his body and mind, he will definitely be eclipsed by the beast inside of him."

"Fear the Old Blood!" Surgit was absorbed in his writing. Since he started exploring the Chalice Dungeons, a lot of information was given to him regarding hunters and blood echoes. The knowledge Surgit gathered, mixed with his own experience, helped him form his own theories. After all, there was no one to teach him about his nature as a hunter. He had to find answers for himself or risk losing his link to the dream and transforming into some type of hideous beast.

Iosefka was right although she probably didn"t know what she was talking about. Multiple deaths may probably lead a hunter to lose his link to the dream. This had probably something to do with the hunter not able to withstand the beast inside of them anymore.

Surgit had already reached a new rank in his strength. That fact alone made him breathe easily. He no longer felt beasthood eating away at him. Fighting Vicar Amelia had taken a big toll on him but the reward he got from the fight was worth the risk.

Not only did he upgrade his attribute but he also got the pa.s.sword to access the Forbidden Woods. Now he only had to find a way to get there. He had no idea how to find that entrance though. "No matter, there is an entire section of the Cathedral Ward that I haven"t explored. I also need to check the surrounding areas of Great Cathedral."

In his haste to collect echoes and suppress his beasthood, Surgit didn"t explore the areas around the Cathedral Ward. Now that he felt the pressure lifting from his mind, he felt more inclined to find out what the Cathedral Ward hid in its dark streets.

Surgit was still sitting in front of the desk at the hunter"s workshop. There was one more thing he wanted to do. In front of him was the prayer Vicar Amelia repeated. He had memorized it and written it on his notebook. There were some hidden meanings in there. He wasn"t willing to leave until he found them.

**Attached: records of crystals**
┌──
No. 1
# ZnNi2Ag

A relaxed ZnNi2Ag crystal (PBE-GGA, Alexandria).

Cell lengths 3.4765, 2.7115, 6.2670 Å; angles 64.47, 90.00, 90.00 degrees
Last column: nearest neighbours and their distance in Å.
Fractional positions:
Ni 0.5000 0.2560 0.2443  6 Ni 2.51-2.71, 4 Zn 2.54, 1 Ag 2.75
Ni 0.0000 0.9691 0.0308  1 Zn 2.47, 6 Ni 2.51-2.71, 4 Ag 2.69
Zn 0.0000 0.5330 0.4676  5 Ni 2.47-2.54, 2 Zn 2.71, 4 Ag 2.74-2.75
Ag 0.5000 0.7420 0.7573  6 Ni 2.69-2.90, 2 Ag 2.71, 4 Zn 2.74-2.75

Values from the calculation:
electronic total energy	-3.886	eV per atom
total magnetic moment	0.0	Bohr magnetons per cell
energy of formation from the pure elements	0.04	eV/atom
symmetry	Pm, No. 6



No. 2
# Zn2NiAg

A relaxed Zn2NiAg crystal (PBE-GGA, Alexandria).

Cell lengths 2.8538, 2.8538, 6.9727 Å; angles 90.00, 90.00, 90.00 degrees
Last column: nearest neighbours and their distance in Å.
Fractional positions:
Zn 0.0000 0.0000 0.9660  4 Ni 2.52
Zn 0.0000 0.0000 0.5340  4 Ni 2.52
Ag 0.5000 0.5000 0.2500  8 Zn 2.83, 4 Ag 2.85
Ni 0.5000 0.5000 0.7500  8 Zn 2.52

Values from the calculation:
electronic total energy	-2.922	eV per atom
total magnetic moment	0.0	Bohr magnetons per cell
energy of formation from the pure elements	-0.13	eV/atom
symmetry	P4/mmm, No. 123



No. 3
# Zn3NiAg

A relaxed Zn3NiAg crystal (PBE-GGA, Alexandria).

Cell lengths 4.5402, 4.5402, 4.5402 Å; angles 90.00, 90.00, 90.00 degrees
Last column: nearest neighbours and their distance in Å.
Fractional positions:
Zn 0.0000 0.5000 0.0000  2 Ni 2.27
Zn 0.0000 0.0000 0.5000  2 Ni 2.27
Zn 0.5000 0.0000 0.0000  2 Ni 2.27
Ni 0.0000 0.0000 0.0000  6 Zn 2.27
Ag 0.5000 0.5000 0.5000  12 Zn 3.21

Values from the calculation:
electronic total energy	-2.227	eV per atom
total magnetic moment	0.0	Bohr magnetons per cell
energy of formation from the pure elements	0.26	eV/atom
energy relative to the lowest polymorph listed for this composition	0	kJ/mol of formula units
symmetry	Pm-3m, No. 221



No. 4
# Zn2NiAg

A relaxed Zn2NiAg crystal (PBE-GGA, Alexandria).

Cell lengths 2.7942, 3.6930, 5.5703 Å; angles 90.00, 90.00, 90.00 degrees
Last column: nearest neighbours and their distance in Å.
Fractional positions:
Ni 0.5000 0.5000 0.7836  5 Zn 2.55, 2 Ni 2.79, 4 Ag 2.80
Zn 0.5000 0.5000 0.2414  1 Ni 2.55, 4 Ag 2.73, 6 Zn 2.75-2.79
Zn 0.0000 0.0000 0.9751  4 Ni 2.55, 1 Ag 2.65, 6 Zn 2.75-2.79
Ag 0.0000 0.0000 0.4998  6 Zn 2.65-2.92, 2 Ag 2.79, 4 Ni 2.80

Values from the calculation:
electronic total energy	-2.819	eV per atom
total magnetic moment	0.0	Bohr magnetons per cell
energy of formation from the pure elements	-0.02	eV/atom
symmetry	Pmm2, No. 25


First-principles (PBE) data for Dy2YBi3 after structural relaxation, as listed in OQMD via LeMat-Bulk.

Lattice parameters (Å, degrees): 4.4552 4.4552 10.9867 90.00 90.00 120.00
Positions (direct):
Dy: 0.3333 0.6667 0.8333
Dy: 0.6667 0.3333 0.1667
Bi: 0.3333 0.6667 0.3332
Bi: 0.0000 0.0000 0.0000
Bi: 0.6667 0.3333 0.6668
Y: 0.0000 0.0000 0.5000

Output
Symmetry: P-3m1
└──
**The article goes on**

"Our thirst for blood satiates us, soothes our fears. Hmm… Why do I get the feeling that these people always speak in riddles?" Surgit sat on the chair and pondered while stroking his chin, a stubble had already shown on his face. "Remain wary of the frailty of men. Their wills are weak, minds young."

"Hmm… I have a feeling I"m close to the answer I"m seeking, yet something is missing so I just can"t grasp it yet. Minds young, Old Blood, this is a living breathing oxymoron and I am one too. The tombs I explored didn"t contain any Great or Old Ones. It only had guardians. I a.s.sume I will find something if I dig deeper into the dungeon. That place had some many answers for me before, it might contain something capital in its lower levels."

Surgit stood up and headed towards the messengers. He still had some echoes and he wanted to trade them for some items. Before defeating Vicar Amelia, he had already acc.u.mulated three Green Echo Cl.u.s.ters. After the fight, he had Blue Echo Cl.u.s.ter on top of the Green ones he already received.

He tried activating the echo in the Blue Cl.u.s.ter and all he heard was the same prayer the Vicar repeated over and over. The Green Ones though insulted him and mocked him for his naiveté. He sighed as he shut them up again and focused on upgrading his strength. He needed to use the Blue Cl.u.s.ter to upgrade from Waste of Skin to Hunter. He was now a full-fledged hunter.

He needed some ritual material and suspected the messengers to have some. Sadly, the little creature just looked at Surgit with no reaction when he asked about ritual materials. "I guess you need some kind of badge for that. I have an idea, let me go to that place I was kidnapped to, I will certainly come back with something useful from there."

The little pale creature nodded and a lamp appeared from the black pool the messenger was always linked to. In no time, the Cathedral in which the big creepy statue was erected showed in Surgit"s field of vision. He looked around and saw a kidnapper a few paces away from him. He immediately ran towards the beast and swung Gascoigne"s axe towards its head.

The kidnapper heard Surgit coming and turned to face his fast approaching enemy. The axe was buried deep within the kidnapper"s chest that it took Surgit two jerking motions to get it out of there. "Wow, the strength of a Hunter far exceeds my expectations!" One swing from the axe was enough to create a wound deep enough that even the Kidnapper"s magic couldn"t withstand.

Surgit was excited but this feeling was cut short as he saw the kidnapper rise again. "How are you even alive? I can see the locked door behind you from the hole I made in your body!" Since he rarely met humans capable of speech, Surgit started talking to the beasts he fought. He found that it was better than living in silence like some bald monk on top of a secluded mountain.

On the hole Surgit made on the kidnapper"s body, there were red lightning-like strands that connected the tissues and helped the s.n.a.t.c.her move. A loud scream came from the kidnapper which was cut short by Surgit"s axe being buried deep in its skull. "Shut the f.u.c.k up! And stay dead!"

Surgit quickly ran towards the second kidnapper and split his face in two. As long as he didn"t have to fight two at a time, there was nothing for him to worry about. "Now, I think it"s high time I explored this area more." When he first came here, Surgit was short on blood vials and the Kidnappers were hard to deal with. Now he felt more confident in his ability to unveil what secrets this place held.

"I want to know why I was kidnapped here. Then I want to know who sings this terrifyingly beautiful song." Surgit now found the choir singing beautiful. Since he was the one with the upper hand, he felt like a hunter mercilessly destroying his enemies while having his own orchestra play music for his fights. He elongated his axe and moved outside the Cathedral, towards the main street.